### Activity
It remains to search the entries further down for the word "Level" and print each line that has it.

### Data
Record 1
Formula: C4H13NO2
Source: the OMol25 dataset
Level of theory: wB97M-V/def2-TZVPD

- Electronic energy: -9942.7713 eV
- SMILES: C=NCCC.O.O
- Relative energy (zero: lowest compared OMol25 entry of this formula, charge and spin): 1.4253 eV
- E_HOMO: -9.572 eV
- E_LUMO: 0.88 eV

```
20
Properties=species:S:1:pos:R:3:forces:R:3:nbo_charge:R:1
O -1.5256 0.5225 -5.0760 0.0 0.3 0.0 -0.94
H 0.6514 0.0690 1.4101 -0.3 0.2 0.1 0.16
H -1.6743 0.1261 -4.2126 0.0 -0.2 -0.1 0.47
H 2.6430 0.9237 2.1036 -0.1 -0.2 0.1 0.20
H -1.6378 -4.2424 4.4500 -0.3 0.1 -0.7 0.47
H 3.8081 1.6503 1.0823 0.0 0.4 -0.2 0.21
H -2.9841 -3.7741 3.8871 0.4 -0.1 -0.2 0.47
H -1.6171 -0.1664 -5.7378 0.0 -0.2 0.2 0.47
H -1.2263 1.5091 1.2102 0.3 -0.1 0.0 0.14
C 0.8097 0.0502 0.3237 0.1 0.4 0.6 -0.25
H 1.9983 1.4580 -0.8499 -0.4 0.3 0.2 0.22
C 2.7326 1.5401 1.2104 -0.1 -0.2 0.5 -0.61
N -0.2955 0.5877 -0.4329 -0.1 0.2 -0.1 -0.38
C -1.1644 1.2982 0.1364 -0.2 -0.1 -0.3 -0.06
H 2.2571 2.4907 1.4783 0.2 0.0 -0.3 0.21
C 2.1100 0.8214 0.0288 0.5 -0.7 -0.9 -0.41
H 0.9161 -0.9960 0.0813 0.1 -0.3 -0.3 0.20
O -2.0861 -4.0236 3.6097 -0.2 0.0 0.9 -0.94
H -1.9432 1.7329 -0.4896 0.0 0.0 0.1 0.17
H 2.8284 0.0940 -0.3727 0.1 0.0 0.4 0.20
```
Positions in Å, forces in eV/Å.

=====

Record 2
Formula: C4H13NO2
Source: the OMol25 dataset
Level of theory: wB97M-V/def2-TZVPD

- Electronic energy: -9940.9941 eV
- SMILES: C/C=C/NC.O.O
- Relative energy (zero: lowest compared OMol25 entry of this formula, charge and spin): 3.2025 eV
- E_HOMO: -7.231 eV
- E_LUMO: 0.45 eV

```
20
Properties=species:S:1:pos:R:3:forces:R:3:nbo_charge:R:1
C 0.1205 -0.5439 1.7037 -1.8 -0.3 4.2 0.06
C -0.7576 -1.0882 2.6609 2.2 2.6 -3.0 -0.36
H 0.4141 -0.4848 -1.3509 -2.5 -0.5 -3.4 0.18
H -2.5595 -0.0427 3.2434 2.3 -0.1 1.2 0.20
H -2.0586 0.6351 -2.6542 -1.7 -0.5 -0.3 0.46
O -1.3890 1.2465 -2.4152 1.3 -0.1 0.1 -0.92
C 1.0101 -0.7343 -0.5877 3.3 2.1 2.7 -0.41
H 1.9361 -1.2694 -0.8051 -0.4 -0.5 -0.4 0.20
C -1.3985 -0.0586 3.5647 -3.0 -1.8 1.1 -0.62
H 0.6739 0.4105 1.9110 -0.7 -0.9 -0.7 0.19
H 0.1561 -2.1965 0.5160 -0.4 -0.2 0.5 0.39
H -0.6414 0.6549 -2.5868 0.4 0.7 0.1 0.46
H 1.4230 0.3399 -0.5549 -0.4 -1.2 1.4 0.20
H -1.3064 -0.2843 4.6974 -0.4 0.5 -1.8 0.20
O 1.8095 1.7739 -4.6959 2.3 -0.7 1.2 -0.94
H 1.9947 2.6112 -4.2151 -0.3 -0.8 -0.5 0.47
H 2.6251 1.1984 -4.4600 -2.1 1.5 -0.7 0.47
N 0.2820 -1.2064 0.5659 2.0 -0.1 -3.0 -0.61
H -1.2264 -1.9139 2.1105 -0.7 0.0 1.4 0.18
H -1.1077 0.9525 3.3522 0.6 0.4 0.0 0.21
```
Positions in Å, forces in eV/Å.

=====

Record 3
Formula: C4H13NO2
Source: the OMol25 dataset
Level of theory: wB97M-V/def2-TZVPD

- Electronic energy: -9942.7305 eV
- SMILES: C1CCNC1.O.O
- Relative energy (zero: lowest compared OMol25 entry of this formula, charge and spin): 1.4661 eV
- E_HOMO: -8.598 eV
- E_LUMO: 0.51 eV

```
20
Properties=species:S:1:pos:R:3:forces:R:3:nbo_charge:R:1
N -0.8389 -0.5451 -1.2603 -1.2 0.1 1.6 -0.64
H 2.3258 -0.3815 2.8375 -0.2 -0.4 0.3 0.47
C -1.4906 0.6767 -1.7343 0.2 -0.7 -3.2 -0.22
O 3.1544 -0.7497 2.5103 0.1 1.6 -0.9 -0.94
H -2.0667 -1.3148 0.3501 0.5 -0.3 0.0 0.19
H 0.1613 -0.5991 -1.4074 -0.2 0.3 0.2 0.37
C -1.2269 -0.6190 0.2389 1.7 -1.7 -0.8 -0.22
H -0.2867 -0.9560 0.7219 -0.9 -0.3 0.2 0.19
H 4.6037 -1.6551 -0.8506 -0.7 1.9 2.2 0.48
C -1.6737 0.7395 0.7004 1.3 0.3 -2.0 -0.43
H -2.3872 0.8136 1.4825 -0.2 -0.2 1.0 0.22
H 3.4668 0.0418 1.9950 0.1 -1.2 0.5 0.48
C -2.3202 1.1172 -0.6084 -1.1 1.4 0.2 -0.42
H -0.7427 1.2915 0.8607 -0.4 0.5 0.3 0.19
H 3.8156 -1.5102 0.5665 1.2 1.0 -1.4 0.49
H -3.2598 0.5903 -0.7219 -0.3 -0.3 0.4 0.20
O 4.3777 -0.9832 -0.0970 -0.6 -2.9 -0.8 -0.97
H -0.7788 1.3755 -2.2295 -0.2 0.0 0.9 0.18
H -2.5683 2.1351 -0.7760 -0.3 1.3 0.3 0.22
H -2.2647 0.5325 -2.5784 1.3 -0.4 0.8 0.17
```
Positions in Å, forces in eV/Å.

=====

Record 4
Formula: C4H13NO2
Source: the OMol25 dataset
Level of theory: wB97M-V/def2-TZVPD

- Electronic energy: -9943.1085 eV
- SMILES: CNC[C@@H](C)O.O

### Worked solution
Level of theory: wB97M-V/def2-TZVPD
Level of theory: wB97M-V/def2-TZVPD
Level of theory: wB97M-V/def2-TZVPD
Level of theory: wB97M-V/def2-TZVPD